== Given ==
<<<
Entry 1:
Calculated XRD peak list of RbHgC3S3N3 for λ = 1.5418 Å (Cu Kα), from a structure optimized by DFT (GGA-PBE).

```
data_RbHgC3S3N3
_chemical_formula_sum 'Rb2 Hg2 C6 S6 N6'
_space_group_name_H-M_alt 'P 1 21/m 1'
_space_group_IT_number 11
_space_group_name_Hall '-P 2yb'
_cell_length_a 11.198
_cell_length_b 4.151
_cell_length_c 11.503
_cell_angle_alpha 90.00
_cell_angle_beta 115.63
_cell_angle_gamma 90.00
loop_
_atom_site_label
_atom_site_fract_x
_atom_site_fract_y
_atom_site_fract_z
Rb1 0.219 0.250 0.095
Hg1 0.223 0.750 0.646
C1 0.026 0.750 0.776
C2 0.302 0.750 0.410
C3 0.463 0.250 0.860
S1 0.012 0.250 0.380
S2 0.303 0.250 0.825
S3 0.396 0.750 0.568
N1 0.052 0.750 0.887
N2 0.242 0.750 0.297
N3 0.423 0.750 0.113
```

Peak list (12 most intense, 2θ = 10–90°, by angle)
2theta	I/Imax
15.47	67
17.57	63
22.41	45
23.11	70
26.04	100
27.53	29
31.86	44
32.03	27
33.74	27
35.41	33
38.21	38
43.59	35

***

Entry 2:
Calculated XRD peak list of Nd3HgC for λ = 1.5418 Å (Cu Kα), from a structure optimized by DFT (GGA-PBE).

```
data_Nd3HgC
_chemical_formula_sum 'Nd12 Hg4 C4'
_space_group_name_H-M_alt 'P n m a'
_space_group_IT_number 62
_space_group_name_Hall '-P 2ac 2n'
_cell_length_a 8.996
_cell_length_b 3.764
_cell_length_c 15.422
_cell_angle_alpha 90.00
_cell_angle_beta 90.00
_cell_angle_gamma 90.00
loop_
_atom_site_label
_atom_site_fract_x
_atom_site_fract_y
_atom_site_fract_z
Nd1 0.026 0.250 0.098
Nd2 0.177 0.250 0.504
Nd3 0.215 0.750 0.303
Hg1 0.084 0.750 0.673
C1 0.155 0.250 0.946
```

Peak list (12 most intense, 2θ = 10–90°, by angle)
2theta	I/Imax
30.37	31
30.54	30
30.64	53
31.08	100
31.53	68
32.02	33
33.14	57
34.77	30
38.02	16
48.36	27
58.33	27
59.94	19

***

Entry 3:
Calculated XRD peak list of TmScHgC for λ = 1.5418 Å (Cu Kα), from a structure optimized by DFT (GGA-PBE).

```
data_TmScHgC
_chemical_formula_sum 'Tm2 Sc2 Hg2 C2'
_space_group_name_H-M_alt 'P -3 m 1'
_space_group_IT_number 164
_space_group_name_Hall '-P 3 2"'
_cell_length_a 3.4494
_cell_length_b 3.4494
_cell_length_c 15.3180
_cell_angle_alpha 90.00
_cell_angle_beta 90.00
_cell_angle_gamma 120.00
loop_
_atom_site_label
_atom_site_fract_x
_atom_site_fract_y
_atom_site_fract_z
Tm1 0.3333 0.6667 0.0880
Sc1 0.3333 0.6667 0.4216
Hg1 0.3333 0.6667 0.7400
C1 0.0000 0.0000 0.0000
C2 0.0000 0.0000 0.5000
```

Peak list (12 most intense, 2θ = 10–90°, by angle)
2theta	I/Imax
11.55	11
29.91	23
30.49	9
32.16	17
34.79	100
35.15	19
46.81	15
53.10	21
62.84	15
65.06	16
65.29	19
88.74	15

***

Entry 4:
Calculated XRD peak list of TmSc3Hg2C2 for λ = 1.5418 Å (Cu Kα), from a structure optimized by DFT (GGA-PBE).

```
data_TmSc3Hg2C2
_chemical_formula_sum 'Tm1 Sc3 Hg2 C2'
_space_group_name_H-M_alt 'P 3 m 1'
_space_group_IT_number 156
_space_group_name_Hall 'P 3 -2"'
_cell_length_a 3.3974
_cell_length_b 3.3974
_cell_length_c 15.1959
_cell_angle_alpha 90.00
_cell_angle_beta 90.00
_cell_angle_gamma 120.00
loop_
_atom_site_label
_atom_site_fract_x
_atom_site_fract_y
_atom_site_fract_z
Tm1 0.0000 0.0000 0.0000
Sc1 0.0000 0.0000 0.3361
Sc2 0.3333 0.6667 0.4955
Sc3 0.3333 0.6667 0.8310
Hg1 0.0000 0.0000 0.6634
Hg2 0.3333 0.6667 0.1735
C1 0.6667 0.3333 0.4174
C2 0.6667 0.3333 0.9090
```

Peak list (12 most intense, 2θ = 10–90°, by angle)
2theta	I/Imax
11.65	30
23.42	11
30.38	24
30.96	22
32.64	13
35.28	100
35.44	20
47.36	17
53.98	20
63.53	20
66.14	16
66.25	20

***

Entry 5:
Calculated XRD peak list of Tm3ScHg2C2 for λ = 1.5418 Å (Cu Kα), from a structure optimized by DFT (GGA-PBE).

```
data_Tm3ScHg2C2
_chemical_formula_sum 'Tm3 Sc1 Hg2 C2'
_space_group_name_H-M_alt 'P 3 m 1'
_space_group_IT_number 156
_space_group_name_Hall 'P 3 -2"'
_cell_length_a 3.5019
_cell_length_b 3.5019
_cell_length_c 15.3932
_cell_angle_alpha 90.00
_cell_angle_beta 90.00
_cell_angle_gamma 120.00
loop_
_atom_site_label
_atom_site_fract_x
_atom_site_fract_y
_atom_site_fract_z
Tm1 0.0000 0.0000 0.0000
Tm2 0.0000 0.0000 0.3317
Tm3 0.3333 0.6667 0.5057
Sc1 0.3333 0.6667 0.8357
Hg1 0.0000 0.0000 0.6757
>>>

== Brief ==
Your job: type out the whole of the contents further above exactly.

== Worked solution ==
Entry 1:
Calculated XRD peak list of RbHgC3S3N3 for λ = 1.5418 Å (Cu Kα), from a structure optimized by DFT (GGA-PBE).

```
data_RbHgC3S3N3
_chemical_formula_sum 'Rb2 Hg2 C6 S6 N6'
_space_group_name_H-M_alt 'P 1 21/m 1'
_space_group_IT_number 11
_space_group_name_Hall '-P 2yb'
_cell_length_a 11.198
_cell_length_b 4.151
_cell_length_c 11.503
_cell_angle_alpha 90.00
_cell_angle_beta 115.63
_cell_angle_gamma 90.00
loop_
_atom_site_label
_atom_site_fract_x
_atom_site_fract_y
_atom_site_fract_z
Rb1 0.219 0.250 0.095
Hg1 0.223 0.750 0.646
C1 0.026 0.750 0.776
C2 0.302 0.750 0.410
C3 0.463 0.250 0.860
S1 0.012 0.250 0.380
S2 0.303 0.250 0.825
S3 0.396 0.750 0.568
N1 0.052 0.750 0.887
N2 0.242 0.750 0.297
N3 0.423 0.750 0.113
```

Peak list (12 most intense, 2θ = 10–90°, by angle)
2theta	I/Imax
15.47	67
17.57	63
22.41	45
23.11	70
26.04	100
27.53	29
31.86	44
32.03	27
33.74	27
35.41	33
38.21	38
43.59	35

***

Entry 2:
Calculated XRD peak list of Nd3HgC for λ = 1.5418 Å (Cu Kα), from a structure optimized by DFT (GGA-PBE).

```
data_Nd3HgC
_chemical_formula_sum 'Nd12 Hg4 C4'
_space_group_name_H-M_alt 'P n m a'
_space_group_IT_number 62
_space_group_name_Hall '-P 2ac 2n'
_cell_length_a 8.996
_cell_length_b 3.764
_cell_length_c 15.422
_cell_angle_alpha 90.00
_cell_angle_beta 90.00
_cell_angle_gamma 90.00
loop_
_atom_site_label
_atom_site_fract_x
_atom_site_fract_y
_atom_site_fract_z
Nd1 0.026 0.250 0.098
Nd2 0.177 0.250 0.504
Nd3 0.215 0.750 0.303
Hg1 0.084 0.750 0.673
C1 0.155 0.250 0.946
```

Peak list (12 most intense, 2θ = 10–90°, by angle)
2theta	I/Imax
30.37	31
30.54	30
30.64	53
31.08	100
31.53	68
32.02	33
33.14	57
34.77	30
38.02	16
48.36	27
58.33	27
59.94	19

***

Entry 3:
Calculated XRD peak list of TmScHgC for λ = 1.5418 Å (Cu Kα), from a structure optimized by DFT (GGA-PBE).

```
data_TmScHgC
_chemical_formula_sum 'Tm2 Sc2 Hg2 C2'
_space_group_name_H-M_alt 'P -3 m 1'
_space_group_IT_number 164
_space_group_name_Hall '-P 3 2"'
_cell_length_a 3.4494
_cell_length_b 3.4494
_cell_length_c 15.3180
_cell_angle_alpha 90.00
_cell_angle_beta 90.00
_cell_angle_gamma 120.00
loop_
_atom_site_label
_atom_site_fract_x
_atom_site_fract_y
_atom_site_fract_z
Tm1 0.3333 0.6667 0.0880
Sc1 0.3333 0.6667 0.4216
Hg1 0.3333 0.6667 0.7400
C1 0.0000 0.0000 0.0000
C2 0.0000 0.0000 0.5000
```

Peak list (12 most intense, 2θ = 10–90°, by angle)
2theta	I/Imax
11.55	11
29.91	23
30.49	9
32.16	17
34.79	100
35.15	19
46.81	15
53.10	21
62.84	15
65.06	16
65.29	19
88.74	15

***

Entry 4:
Calculated XRD peak list of TmSc3Hg2C2 for λ = 1.5418 Å (Cu Kα), from a structure optimized by DFT (GGA-PBE).

```
data_TmSc3Hg2C2
_chemical_formula_sum 'Tm1 Sc3 Hg2 C2'
_space_group_name_H-M_alt 'P 3 m 1'
_space_group_IT_number 156
_space_group_name_Hall 'P 3 -2"'
_cell_length_a 3.3974
_cell_length_b 3.3974
_cell_length_c 15.1959
_cell_angle_alpha 90.00
_cell_angle_beta 90.00
_cell_angle_gamma 120.00
loop_
_atom_site_label
_atom_site_fract_x
_atom_site_fract_y
_atom_site_fract_z
Tm1 0.0000 0.0000 0.0000
Sc1 0.0000 0.0000 0.3361
Sc2 0.3333 0.6667 0.4955
Sc3 0.3333 0.6667 0.8310
Hg1 0.0000 0.0000 0.6634
Hg2 0.3333 0.6667 0.1735
C1 0.6667 0.3333 0.4174
C2 0.6667 0.3333 0.9090
```

Peak list (12 most intense, 2θ = 10–90°, by angle)
2theta	I/Imax
11.65	30
23.42	11
30.38	24
30.96	22
32.64	13
35.28	100
35.44	20
47.36	17
53.98	20
63.53	20
66.14	16
66.25	20

***

Entry 5:
Calculated XRD peak list of Tm3ScHg2C2 for λ = 1.5418 Å (Cu Kα), from a structure optimized by DFT (GGA-PBE).

```
data_Tm3ScHg2C2
_chemical_formula_sum 'Tm3 Sc1 Hg2 C2'
_space_group_name_H-M_alt 'P 3 m 1'
_space_group_IT_number 156
_space_group_name_Hall 'P 3 -2"'
_cell_length_a 3.5019
_cell_length_b 3.5019
_cell_length_c 15.3932
_cell_angle_alpha 90.00
_cell_angle_beta 90.00
_cell_angle_gamma 120.00
loop_
_atom_site_label
_atom_site_fract_x
_atom_site_fract_y
_atom_site_fract_z
Tm1 0.0000 0.0000 0.0000
Tm2 0.0000 0.0000 0.3317
Tm3 0.3333 0.6667 0.5057
Sc1 0.3333 0.6667 0.8357
Hg1 0.0000 0.0000 0.6757